........
(1)
## NdIrPd (PBE)

Data for crystalline NdIrPd at its relaxed geometry.

```
3
Lattice="-3.5249 1.1050 2.7638 0.8015 1.2956 4.3547 -0.6562 4.3897 1.2585" Properties=species:S:1:pos:R:3 pbc="T T T"
Ir 0.0000 0.0000 0.0000
Nd -2.5347 5.0928 6.2827
Pd -0.8449 1.6976 2.0942
```

Calculated values
- ΔH_f (0 K): -163.0 meV/atom
- Distance to the lowest polymorph of the same formula: 0.00 eV per formula unit



(2)
## PrNd2Sn3IrPd2 (PBE)

Data for crystalline PrNd2Sn3IrPd2 at its relaxed geometry.

```
9
Lattice="4.1450 0.0000 0.0000 0.0000 6.6035 3.8145 0.0000 -6.6035 3.8145" Properties=species:S:1:pos:R:3 pbc="T T T"
Ir 0.0000 0.0000 0.0067
Nd 0.0000 3.9020 5.3740
Nd 0.0000 -3.9020 5.3740
Pd 2.0725 2.2106 3.8125
Pd 2.0725 -2.2106 3.8125
Pr 0.0000 0.0000 4.5028
Sn 2.0725 4.9608 2.8704
Sn 2.0725 0.0000 1.8926
Sn 2.0725 -4.9608 2.8704
```

Calculated values
- VASP energy: -5.941 eV/atom



(3)
## Nd3Si4Ir2Pd2 (PBE)

Data for crystalline Nd3Si4Ir2Pd2 at its relaxed geometry.

```
11
Lattice="8.4971 -0.1347 9.4975 3.8456 2.5208 11.8860 -7.1461 -3.8228 -9.8357" Properties=species:S:1:pos:R:3 pbc="T T T"
Ir 3.0828 0.5960 5.3410
Ir 9.2599 1.7902 16.0425
Nd 0.0000 0.0000 0.0000
Nd 2.4868 -1.6286 2.9689
Nd 2.7098 0.1919 8.5789
Pd 5.6239 -1.0221 8.4038
Pd -0.4273 -0.4145 3.1440
Si 5.5787 1.0785 9.6650
Si 6.7640 1.3077 11.7185
Si 4.4001 -1.2587 6.2837
Si 0.7965 -0.1780 5.2641
```

Calculated values
- VASP energy: -6.831 eV/atom



(4)
## NdSi2IrPd (PBE)

Data for crystalline NdSi2IrPd at its relaxed geometry.

```
5
Lattice="-2.0740 2.0740 5.0763 2.0740 -2.0740 5.0763 2.0740 2.0740 -5.0763" Properties=species:S:1:pos:R:3 pbc="T T T"
Ir 0.0000 0.0000 0.0000
Nd 2.0740 0.0000 2.5381
Pd 0.0000 0.0000 5.0763
Si 0.0000 2.0740 1.3147
Si 0.0000 2.0740 3.7615
```

Calculated values
- VASP energy: -6.870 eV/atom



(5)
## NdSn2IrPd (PBE)

Data for crystalline NdSn2IrPd at its relaxed geometry.

```
10
Lattice="-0.8027 -4.2527 1.5761 4.0567 -1.3890 -1.6818 4.6469 2.5090 9.1368" Properties=species:S:1:pos:R:3 pbc="T T T"
Ir 3.7519 0.2361 2.5480
Ir 2.5220 -0.5480 6.5359
Nd 0.7628 -1.4978 3.0770
Nd 5.5111 1.1860 6.0069
Pd 0.0000 0.0000 0.0000
Pd 1.6270 -2.8208 -0.0529
Sn 2.6193 -0.3754 0.3211
Sn 2.3235 1.2545 4.5684
Sn 3.9504 -1.5663 4.5155
Sn 3.6546 0.0636 8.7628
```

Calculated values
- VASP energy: -6.042 eV/atom



(6)
## Tb2NdSn3Ir2Pd (PBE)

Data for crystalline Tb2NdSn3Ir2Pd at its relaxed geometry.

```
9
Lattice="4.0357 0.0000 0.0000 0.0000 6.5373 3.7561 0.0000 -6.5373 3.7561" Properties=species:S:1:pos:R:3 pbc="T T T"
Ir 2.0179 2.2187 3.7476
Ir 2.0179 -2.2187 3.7476
Nd 0.0000 0.0000 4.4125
Pd 0.0000 0.0000 0.0297
Sn 2.0179 4.8339 2.7879
Sn 2.0179 0.0000 1.9409
Sn 2.0179 -4.8339 2.7879
Tb 0.0000 3.8431 5.2974
Tb 0.0000 -3.8431 5.2974
```

Calculated values
- VASP energy: -6.278 eV/atom



(7)
## Nd2TmSn3Ir2Pd (PBE)

Data for crystalline Nd2TmSn3Ir2Pd at its relaxed geometry.

```
9
Lattice="4.0759 0.0000 0.0000 0.0000 6.4925 3.7855 0.0000 -6.4925 3.7855" Properties=species:S:1:pos:R:3 pbc="T T T"
Ir 2.0380 2.0805 3.8072
Ir 2.0380 -2.0805 3.8072
Nd 0.0000 2.6800 1.5709
Nd 0.0000 -2.6800 1.5709
Pd 0.0000 0.0000 7.5189
Sn 2.0380 0.0000 1.9596
Sn 2.0380 1.6680 6.5818
Sn 2.0380 -1.6680 6.5818
Tm 0.0000 0.0000 4.4571
```

Calculated values
- VASP energy: -6.255 eV/atom



(8)
## Pm2NdIr2 (PBE)

Data for crystalline Pm2NdIr2 at its relaxed geometry.

```
10
Lattice="-5.6177 0.3110 -1.1444 -0.4490 -4.3054 1.0343 -0.3306 2.5289 10.3837" Properties=species:S:1:pos:R:3 pbc="T T T"
Ir -4.9021 -2.6326 1.2766
Ir -1.3694 -1.9974 5.4544
Ir -5.0279 0.5319 4.8191
Ir -1.4952 1.1671 8.9970
Nd -0.4726 -0.3290 3.2129
Nd -5.9247 -1.1364 7.0607
Pm -1.8586 -3.0606 0.8163
Pm -3.9078 -2.0617 4.0847
Pm -2.4895 0.5962 6.1889
Pm -4.5387 1.5951 9.4573
```

Calculated values
- ΔH_f (0 K): -621.9 meV/atom



(9)
## PrNdIr (PBE)

Data for crystalline PrNdIr at its relaxed geometry.

```
3
........
It remains to filter the material further above: keep the lines with the word "Pm2NdIr2".
## Pm2NdIr2 (PBE)
Data for crystalline Pm2NdIr2 at its relaxed geometry.